┌──
No. 1
Pr12HgRh6: computed X-ray powder pattern (Cu Kα), based on a PBE-relaxed structure.

Structural model:
```
19
Lattice="-5.138 5.138 5.138 5.138 -5.138 5.138 5.138 5.138 -5.138" Properties=species:S:1:pos:R:3 pbc="T T T"
Pr 5.138 3.234 -2.002
Pr 3.136 0.000 1.904
Pr 7.140 0.000 1.904
Pr 1.904 3.136 0.000
Pr 3.234 -2.002 5.138
Pr 0.000 1.904 3.136
Pr 5.138 3.234 2.002
Pr 1.904 7.140 0.000
Pr 3.234 2.002 5.138
Pr -2.002 5.138 3.234
Pr 2.002 5.138 3.234
Pr 0.000 1.904 7.140
Hg 0.000 0.000 0.000
Rh 5.138 1.355 0.000
Rh 5.138 0.000 3.783
Rh 3.783 5.138 0.000
Rh 1.355 0.000 5.138
Rh 0.000 5.138 1.355
Rh 0.000 3.783 5.138
```

Peak list (12 most intense, 2θ = 15–90°, sorted by position)
- 27.45°, 3.250 Å, I 17
- 30.13°, 2.967 Å, I 25
- 32.60°, 2.746 Å, I 100
- 34.92°, 2.569 Å, I 13
- 37.12°, 2.422 Å, I 11
- 44.98°, 2.015 Å, I 26
- 51.88°, 1.762 Å, I 19
- 53.50°, 1.713 Å, I 14
- 55.09°, 1.667 Å, I 29
- 64.07°, 1.453 Å, I 16
- 79.07°, 1.211 Å, I 14
- 80.38°, 1.195 Å, I 15

No. 2
Pr5HgRh4: computed X-ray powder pattern (Cu Kα), based on a PBE-relaxed structure.

Structural model:
```
10
Lattice="3.620 0.000 0.000 0.000 3.620 0.000 0.000 0.000 18.315" Properties=species:S:1:pos:R:3 pbc="T T T"
Pr 0.000 0.000 0.000
Pr 0.000 0.000 3.502
Pr 0.000 0.000 6.972
Pr 0.000 0.000 11.343
Pr 0.000 0.000 14.814
Hg 1.810 1.810 9.158
Rh 1.810 1.810 1.772
Rh 1.810 1.810 5.328
Rh 1.810 1.810 12.988
Rh 1.810 1.810 16.543
```

Peak list (12 most intense, 2θ = 15–90°, sorted by position)
- 31.50°, 2.840 Å, I 6
- 34.84°, 2.575 Å, I 100
- 35.05°, 2.560 Å, I 55
- 49.79°, 1.831 Å, I 8
- 50.41°, 1.810 Å, I 19
- 62.34°, 1.490 Å, I 14
- 62.74°, 1.481 Å, I 36
- 73.57°, 1.287 Å, I 8
- 74.07°, 1.280 Å, I 6
- 83.57°, 1.157 Å, I 3
- 84.53°, 1.146 Å, I 8
- 84.66°, 1.145 Å, I 9

----------

Entry 1:
Starting from a structure optimized by DFT (GGA-PBE), the powder diffractogram of Hf2N2O was computed for Cu Kα (weighted mean of Kα1 and Kα2).
Intensities are scaled so that the largest is 100.

Cell: 8.7290 8.7303 8.7337 Å, 109.39 109.59 109.40°
Space group P1 (No. 1)
Unique sites:
Hf1 0.0000 0.0000 0.0000 (multiplicity 1)
Hf2 0.9999 0.4942 0.4998 (multiplicity 1)
Hf3 0.0352 0.2885 0.8225 (multiplicity 1)
Hf4 0.2205 0.2515 0.5479 (multiplicity 1)
Hf5 0.2444 0.0441 0.7894 (multiplicity 1)
Hf6 0.2505 0.5463 0.2981 (multiplicity 1)
Hf7 0.2875 0.8215 0.0460 (multiplicity 1)
Hf8 0.4680 0.7778 0.7445 (multiplicity 1)
Hf9 0.4994 0.5726 0.0789 (multiplicity 1)
Hf10 0.4995 0.0719 0.5732 (multiplicity 1)
Hf11 0.5289 0.2723 0.3181 (multiplicity 1)
Hf12 0.7188 0.7590 0.5468 (multiplicity 1)
Hf13 0.7372 0.5234 0.7882 (multiplicity 1)
Hf14 0.7526 0.0440 0.3028 (multiplicity 1)
Hf15 0.7850 0.3294 0.0440 (multiplicity 1)
Hf16 0.9606 0.7834 0.2608 (multiplicity 1)
N1 0.0223 0.5784 0.2980 (multiplicity 1)
N2 0.2145 0.9891 0.5187 (multiplicity 1)
N3 0.2386 0.5711 0.0544 (multiplicity 1)
N4 0.2613 0.5028 0.5300 (multiplicity 1)
N5 0.2819 0.0793 0.0631 (multiplicity 1)
N6 0.3007 0.3093 0.8282 (multiplicity 1)
N7 0.4796 0.3112 0.5501 (multiplicity 1)
N8 0.4894 0.8071 0.5177 (multiplicity 1)
N9 0.5109 0.0192 0.3228 (multiplicity 1)
N10 0.7029 0.5243 0.0159 (multiplicity 1)
N11 0.7170 0.7734 0.8065 (multiplicity 1)
N12 0.7376 0.2610 0.2438 (multiplicity 1)
N13 0.7600 0.8077 0.3347 (multiplicity 1)
N14 0.7836 0.2956 0.7834 (multiplicity 1)
N15 0.9775 0.0030 0.7472 (multiplicity 1)
N16 0.9767 0.2717 0.5614 (multiplicity 1)
O1 0.0141 0.2600 0.0690 (multiplicity 1)
O2 0.0248 0.7667 0.0315 (multiplicity 1)
O3 0.2048 0.7611 0.7594 (multiplicity 1)
O4 0.4799 0.4891 0.2799 (multiplicity 1)
O5 0.5180 0.7962 0.0150 (multiplicity 1)
O6 0.5205 0.0646 0.8374 (multiplicity 1)
O7 0.8012 0.5526 0.5654 (multiplicity 1)
O8 0.9864 0.0447 0.2515 (multiplicity 1)

Main lines, by angle (2θ from 10° to 90°):
| 2θ (°) | I (rel.) |
| --- | --- |
| 21.59 | 12 |
| 30.72 | 100 |
| 35.62 | 37 |
| 37.85 | 7 |
| 45.89 | 10 |
| 51.25 | 33 |
| 60.91 | 18 |
| 61.02 | 10 |
| 62.44 | 4 |
| 63.97 | 6 |

---

Entry 2:
└──

Your job: filter the lines further above: keep the lines with the word "Hf11".

Hf11 0.5289 0.2723 0.3181 (multiplicity 1)